猫でもわかる 秘密の英語勉強会

アニメ「Dr.STONE」第11話「CLEAR WORLD」、海外勢の反応は?




※ 本記事には「Dr. STONE」第11話までのネタバレが含まれます。

リンク(Prime Video):Dr.STONE


Senku making glasses made me tear up. Suika being able to see is just so heartwarming. One of my favorite moments from the manga.
Finally, ACTUAL best boy enters the scene

> This man literally only exists just to craft some high quality shit. God I fucking love Kaseki so much.



> この男は文字通り高品質なものを作るために存在する。カセキめっちゃ好き。

> お願いマッスル!

> めっちゃモテたい
As someone who is growing more and more dependant on glasses as the ages go by, that scene hit really hard. I couldn't imagine how hard would it be to live your entire life with shitty, blurry vision. We really take a lot of stuff for granted these days.
Things like this is why I love Dr. Stone. It's an insanely entertaining show that also makes you actually appreciate more things about life that you wouldn't even think about.

> This is my favorite thing about the show. Senku keeps making things that none of the viewers would be amazed by but seeing the reactions of the villagers really puts things into perspective. I've had to wear glasses since I was a kid and every time I put them away whenever I go swimming, I realize how fucked I'd be if they were never invented. I'm pretty thankful I was born in this age.

> I loved how no one said a word after she put on the glasses. They let her emotions be expressed though imagery. What a powerful scene.

**The page is interrupted by calculated crystals:**
No. 1
Theoretical XRD peak list
Compound: CaMgHg
Radiation: a wavelength of 1.5418 Å
Structure: a DFT-relaxed cell (GGA-PBE, Alexandria)
Lines closer than 0.1° are merged.

Cell and atoms:
```
data_CaMgHg
_chemical_formula_sum 'Ca4 Mg4 Hg4'
_symmetry_space_group_name_H-M 'A e m 2'
_symmetry_Int_Tables_number 39
_cell_length_a 7.922
_cell_length_b 6.361
_cell_length_c 6.360
_cell_angle_alpha 90.00
_cell_angle_beta 90.00
_cell_angle_gamma 90.00
loop_
_symmetry_equiv_pos_as_xyz
'x,y,z'
'-x,-y,z'
'-x,y+1/2,z'
'x,-y+1/2,z'
'x,y+1/2,z+1/2'
'-x,-y+1/2,z+1/2'
'-x,y,z+1/2'
'x,-y,z+1/2'
loop_
_atom_site_label
_atom_site_type_symbol
_atom_site_fract_x
_atom_site_fract_y
_atom_site_fract_z
Ca1 Ca 0.150 0.250 0.000
Mg1 Mg 0.500 0.000 0.251
Hg1 Hg 0.257 0.250 0.500
```

Most intense lines, 10° ≤ 2θ ≤ 80°, in order of rising 2θ:
Position (°2θ)	I (rel.)
22.45	33.3
22.74	100.0
28.06	52.9
36.22	66.0
39.58	40.7
46.59	32.5

---

No. 2
Theoretical XRD peak list
Compound: MgZn2Pd6
Radiation: a wavelength of 1.5418 Å
Structure: a DFT-relaxed cell (GGA-PBE, Alexandria)
Lines closer than 0.1° are merged.

Cell and atoms:
```
data_MgZn2Pd6
_chemical_formula_sum 'Mg2 Zn4 Pd12'
_symmetry_space_group_name_H-M 'P 42/m n m'
_symmetry_Int_Tables_number 136
_symmetry_space_group_name_Hall '-P 4n 2n'
_cell_length_a 8.139
_cell_length_b 8.139
_cell_length_c 4.084
_cell_angle_alpha 90.00
_cell_angle_beta 90.00
_cell_angle_gamma 90.00
loop_
_atom_site_label
_atom_site_type_symbol
_atom_site_fract_x
_atom_site_fract_y
_atom_site_fract_z
Mg1 Mg 0.000 0.000 0.000
Zn1 Zn 0.192 0.192 0.500
Pd1 Pd 0.019 0.328 0.000
Pd2 Pd 0.141 0.859 0.500
```

Most intense lines, 10° ≤ 2θ ≤ 80°, in order of rising 2θ:
Position (°2θ)	I (rel.)
39.89	100.0
41.47	11.9
44.36	19.6
47.39	24.5
66.92	16.9
78.63	12.1

---

No. 3
Theoretical XRD peak list
Compound: TbZn11Co
Radiation: a wavelength of 1.5418 Å
Structure: a DFT-relaxed cell (GGA-PBE, Alexandria)
Lines closer than 0.1° are merged.

Cell and atoms:
```
data_TbZn11Co
_chemical_formula_sum 'Tb2 Zn22 Co2'
_symmetry_space_group_name_H-M 'C 1 2/m 1'
_symmetry_Int_Tables_number 12
_cell_length_a 5.038
_cell_length_b 12.620
_cell_length_c 6.762
_cell_angle_alpha 90.00
_cell_angle_beta 111.83
_cell_angle_gamma 90.00
loop_
_symmetry_equiv_pos_as_xyz
'x,y,z'
'-x,-y,-z'
'-x,y,-z'
'x,-y,z'
'x+1/2,y+1/2,z'
'-x+1/2,-y+1/2,-z'
'-x+1/2,y+1/2,-z'
'x+1/2,-y+1/2,z'
loop_
_atom_site_label
_atom_site_type_symbol
_atom_site_fract_x
_atom_site_fract_y
_atom_site_fract_z
Tb1 Tb 0.000 0.000 0.000
Zn1 Zn 0.000 0.000 0.500
Zn2 Zn 0.103 0.394 0.221
Zn3 Zn 0.198 0.171 0.359
Zn4 Zn 0.250 0.250 0.000
Co1 Co 0.000 0.500 0.500
```

Most intense lines, 10° ≤ 2θ ≤ 80°, in order of rising 2θ:
Position (°2θ)	I (rel.)
28.58	21.3
35.10	47.6
40.58	100.0
40.79	51.4
41.18	64.1
46.13	23.4

---

No. 4
Theoretical XRD peak list
Compound: KGe2SbBr8
Radiation: a wavelength of 1.5418 Å
Structure: a DFT-relaxed cell (GGA-PBE, Alexandria)
Lines closer than 0.1° are merged.

Cell and atoms:
```

> これが俺がこのアニメを好きな理由だ。千空は視聴者が誰も驚かない物を作り続けるが、村人たちの反応を見ると本当によくわかる。俺は子どもの頃から常に眼鏡が必須で、水泳で眼鏡をはずすたびにこれが発明されなかったらどんなにひどかっただろうと気付かされる。この時代に生まれたことに本当に感謝している。

> スイカが眼鏡マスクをかぶった後に誰も言葉を発しなかったのが良かった。映像でスイカの感情を表現した。何てパワフルなシーンなんだ。
Seeing Suika wearing her glasses is just as dramatic as I remember in the manga. It's my favorite scene in the whole series as well.

• Misplaced materials data:
........
# 1
Starting from the GGA-PBE geometry in Alexandria, the powder diffractogram of CaAc5Ir4 was computed for Cu Ka.
Kinematic intensities with the Lorentz-polarization factor, no thermal factor.

Largest 10 diffraction maxima, in order of rising 2θ, 10 to 90 degrees two-theta:
- 2θ = 16.6°, I = 24
- 2θ = 20.0°, I = 12
- 2θ = 29.5°, I = 100
- 2θ = 30.0°, I = 49
- 2θ = 41.4°, I = 21
- 2θ = 41.9°, I = 39
- 2θ = 43.0°, I = 16
- 2θ = 43.2°, I = 34
- 2θ = 51.9°, I = 22
- 2θ = 70.5°, I = 13

a b c (Å): 18.5585 4.3642 8.4272
angles (deg): 90.00 105.36 90.00
Space group C2/m (No. 12)
Inequivalent atoms, fractional coordinates:
Ca 0.0000 0.0000 0.0000 (multiplicity 2)
Ac 0.0000 0.0000 0.5000 (multiplicity 2)
Ac 0.1612 0.5000 0.3306 (multiplicity 4)
Ac 0.1637 0.5000 0.8588 (multiplicity 4)
Ir 0.9999 0.5000 0.2587 (multiplicity 4)
Ir 0.1745 0.0000 0.1132 (multiplicity 4)

# 2
Starting from the GGA-PBE geometry in Alexandria, the powder diffractogram of CaAc4Ir3 was computed for Cu Ka.
Kinematic intensities with the Lorentz-polarization factor, no thermal factor.

Largest 10 diffraction maxima, in order of rising 2θ, 10 to 90 degrees two-theta:
- 2θ = 13.3°, I = 82
- 2θ = 23.3°, I = 33
- 2θ = 27.0°, I = 90
- 2θ = 27.5°, I = 90
- 2θ = 27.7°, I = 90
- 2θ = 35.3°, I = 81
- 2θ = 35.6°, I = 72
- 2θ = 35.9°, I = 71
- 2θ = 42.0°, I = 100
- 2θ = 43.2°, I = 45

a b c (Å): 14.4225 7.5196 10.9144
angles (deg): 90.00 113.01 90.00
Space group Cc (No. 9)
Inequivalent atoms, fractional coordinates:
Ca 0.0000 0.1718 0.0000 (multiplicity 4)
Ac 0.1030 0.3351 0.6971 (multiplicity 4)
Ac 0.1943 0.1754 0.4013 (multiplicity 4)
Ac 0.2883 0.3360 0.1122 (multiplicity 4)
Ac 0.3906 0.1720 0.8038 (multiplicity 4)
Ir 0.0867 0.4998 0.4378 (multiplicity 4)
Ir 0.1965 0.9999 0.1528 (multiplicity 4)
Ir 0.3034 0.4968 0.8688 (multiplicity 4)

# 3
Starting from the GGA-PBE geometry in Alexandria, the powder diffractogram of CaAcIrN2 was computed for Cu Ka.
Kinematic intensities with the Lorentz-polarization factor, no thermal factor.

Largest 10 diffraction maxima, in order of rising 2θ, 10 to 90 degrees two-theta:
- 2θ = 18.0°, I = 80
- 2θ = 29.4°, I = 50
- 2θ = 30.9°, I = 30
- 2θ = 34.7°, I = 100
- 2θ = 36.0°, I = 30
- 2θ = 36.5°, I = 19
- 2θ = 47.5°, I = 28
- 2θ = 48.5°, I = 22
- 2θ = 57.4°, I = 24
- 2θ = 64.5°, I = 29

a b c (Å): 4.9282 5.7825 7.1476
angles (deg): 90.00 90.00 90.00
Space group Pccm (No. 49)
Inequivalent atoms, fractional coordinates:
Ca 0.0000 0.0000 0.2500 (multiplicity 2)
Ac 0.5000 0.5000 0.2500 (multiplicity 2)
Ir 0.5000 0.0000 0.0000 (multiplicity 2)
N 0.2453 0.2554 0.0000 (multiplicity 4)

# 4
Starting from the GGA-PBE geometry in Alexandria, the powder diffractogram of CaAcZn2Ir2 was computed for Cu Ka.
Kinematic intensities with the Lorentz-polarization factor, no thermal factor.

Largest 10 diffraction maxima, in order of rising 2θ, 10 to 90 degrees two-theta:
- 2θ = 11.0°, I = 13
- 2θ = 26.1°, I = 52
- 2θ = 32.5°, I = 100
- 2θ = 41.3°, I = 13
- 2θ = 41.4°, I = 59
........
• So much for the materials data:

And we finally get to see Kaseki. He's just an amazing character. One of my favorites

Can’t wait to see the next episode even if I read the manga
What's that last chemical Senku brags about?
Oh, so that's why Suika was wearing that thing on her head? I wonder at what point will Senku become aware that Kinro also needs a pair of glasses.
It comes to no surprise that the highly skill crafter literally looks like a dwarf.

**Between two parts of the entry: data records**
~~~
Starting from the PBE+U geometry in the Materials Project, the PXRD pattern of MgV4FeNiO12 was calculated for Cu Kα, 1.54184 Å.

Principal peaks in the range 2θ from 10° to 80°, most intense first:
| 2theta | d/Å | intensity |
| --- | --- | --- |
| 27.9 | 3.193 | 100 |
| 13.4 | 6.625 | 40 |
| 28.5 | 3.135 | 40 |
| 35.7 | 2.518 | 35 |
| 51.8 | 1.765 | 21 |
| 54.1 | 1.694 | 20 |
| 36.3 | 2.476 | 20 |
| 19.0 | 4.665 | 16 |
| 41.7 | 2.167 | 12 |
| 20.2 | 4.399 | 11 |

Cell and atoms:
```
MgV4FeNiO12
1.0
5.523 -4.399 0.000
5.523 4.399 0.000
-2.277 0.000 5.037
Mg V Fe Ni O
1 4 1 1 12
direct
0.000 0.000 0.000
0.104 0.465 0.002
0.336 0.114 0.535
0.535 0.896 0.998
0.886 0.664 0.465
0.627 0.373 0.000
0.804 0.196 0.500
0.030 0.664 0.850
0.072 0.141 0.405
0.126 0.571 0.338
0.321 0.318 0.920
0.336 0.970 0.150
0.429 0.874 0.662
0.536 0.251 0.594
0.682 0.679 0.080
0.705 0.072 0.096
0.749 0.464 0.406
0.859 0.928 0.595
0.928 0.295 0.904
```

Starting from the PBE+U geometry in the Materials Project, the PXRD pattern of MgV4FeNiO12 was calculated for Cu Kα, 1.54184 Å.

Principal peaks in the range 2θ from 10° to 80°, most intense first:
| 2theta | d/Å | intensity |
| --- | --- | --- |
| 27.9 | 3.196 | 100 |
| 28.2 | 3.160 | 86 |
| 33.7 | 2.661 | 82 |
| 28.8 | 3.104 | 74 |
| 13.6 | 6.497 | 59 |
| 20.2 | 4.399 | 39 |
| 18.8 | 4.712 | 31 |
| 29.2 | 3.060 | 30 |
| 52.8 | 1.733 | 28 |
| 39.2 | 2.297 | 25 |

Cell and atoms:
```
MgV4FeNiO12
1.0
5.760 0.000 0.000
2.168 6.540 0.000
1.897 0.765 6.640
Mg V Fe Ni O
1 4 1 1 12
direct
0.000 0.000 0.000
0.005 0.554 0.854
0.046 0.083 0.463
0.545 0.340 0.046
0.552 0.885 0.653
0.551 0.782 0.181
0.058 0.626 0.336
0.034 0.332 0.393
0.094 0.647 0.610
0.144 0.926 0.253
0.216 0.996 0.696
0.337 0.389 0.896
0.440 0.508 0.229
0.602 0.081 0.140
0.616 0.724 0.870
0.660 0.742 0.454
0.718 0.068 0.608
0.875 0.317 0.927
0.956 0.710 0.062
```

=====

(1)
# NpPS4
Simulated PXRD pattern, λ = 1.5418 Å (Cu Kα). Input: the PBE geometry in OQMD.

Structure:
Lattice parameters (Å, degrees): 10.918 10.918 18.977 90.00 90.00 90.00
Space group I4_1/acd (No. 142, origin choice 2)
Unique sites:
Np 0.000 0.250 0.125
Np 0.000 0.250 0.375
P 0.037 0.000 0.250
S 0.067 0.004 0.840
S 0.090 0.115 0.003

Largest 12 diffraction maxima, by intensity, 10 to 90 degrees two-theta:
hkl  two_theta  I (rel.)
2 0 0  16.24  100
4 2 4  41.57  72
2 0 4  24.86  66
2 2 4  29.84  59
4 0 4  38.03  39
4 2 0  36.81  33
6 0 4  53.92  28
0 0 4  18.71  24
2 2 0  23.04  22
4 0 0  32.80  21
6 2 4  56.75  19
6 4 8  74.35  17

***

(2)
# NpP4S12
Simulated PXRD pattern, λ = 1.5418 Å (Cu Kα). Input: the PBE geometry in OQMD.

Structure:
Lattice parameters (Å, degrees): 13.111 13.111 9.839 90.00 90.00 90.00
Space group I4_1/a (No. 88, origin choice 2)
Unique sites:
Np 0.000 0.250 0.125
P 0.006 0.066 0.380
S 0.065 0.418 0.575
S 0.082 0.368 0.905
S 0.092 0.428 0.225

Largest 12 diffraction maxima, by intensity, 10 to 90 degrees two-theta:
hkl  two_theta  I (rel.)
2 1 1  17.61  100
~~~
**The data records stop here**

It just made me think of the first time I got glasses. All I remember is I couldn't stop smiling for quite a while. It's sad to think how many people could never see properly.

> I got glasses when I was Suika's age and it was really just a marvel. I couldn't stop staring at everything and seeing all the incredible detail. From my fingerprints, to the veins in a leaf... even the individual hairs on my parents' heads.

> 俺はスイカと同じ年齢のときに眼鏡をかけて本当に驚いた。何でもじっと見つめるのをやめられなかったし、信じられないほど細かい所も見ていた。自分の指紋から葉脈、さらには両親の髪の毛一本一本まで。
I'm glad that they kept the melon head for her, even though she's cute without it.
Glasses Acquired ! Child laborer Acquired ! Dwarf Acquired !
眼鏡を手に入れた! 児童労働者を手に入れた! ドワーフを手に入れた!
Ive been working in front of the computer since ive graduated. Slowly my eyes deteriorated without me realizing until the day i had a free eye examination trial and eventually bought glasses. I never realized how bad my eyesight is when i went out of the shop i spent hours reading signages and looking at the surrounding everything looks HD its like comparing 2008 youtube to 2018 youtube quality. I felt regret for abusing my eyes when i was young.
That moment where Suika’s eyes got blurry for a different reason after getting glasses was so heartwarming. God this show is great.